+++
The following is a theoretical PXRD pattern of UTiTe2N. It was derived from a structure optimized by DFT (PBE), using copper Kα.
Neutral-atom scattering factors, no anomalous dispersion.

Most intense lines, 2θ from 5° to 70°, low angle first:
2θ (°), Rel. int., (hkl)
6.21, 719, 0 0 1
29.83, 1000, 1 0 3
32.79, 784, 1 1 0
34.27, 637, 1 0 4
41.69, 119, 1 1 4
47.05, 316, 2 0 0
50.75, 97, 1 0 7
51.00, 154, 1 1 6
56.42, 170, 1 1 7
56.72, 342, 2 1 3
59.49, 261, 2 1 4
68.74, 101, 2 2 0

Atomic structure:
```
UTiTe2N
1.0
3.8624 0.0000 0.0000
0.0000 3.8624 0.0000
0.0000 0.0000 14.2312
U Ti Te N
2 2 4 2
direct
0.2500 0.2500 0.0815
0.7500 0.7500 0.9185
0.2500 0.2500 0.5736
0.7500 0.7500 0.4264
0.2500 0.2500 0.3791
0.2500 0.2500 0.7928
0.7500 0.7500 0.2072
0.7500 0.7500 0.6209
0.2500 0.7500 0.0000
0.7500 0.2500 0.0000
```

* * * * *

For NpN, a DFT-relaxed cell (GGA-PBE, the Materials Project) gives the computed X-ray powder pattern in this record (Cu Kα).
Neutral-atom scattering factors, no anomalous dispersion.

Structural model:
```
NpN
1.0
0.0000 2.4343 2.4343
2.4343 0.0000 2.4343
2.4343 2.4343 0.0000
Np N
1 1
Cartesian
0.0000 0.0000 0.0000
2.4343 2.4343 2.4343
```

Peak list (6 most intense, 2θ from 15° to 90°, most intense first)
2θ/deg	d/Å	I (rel.)
31.84	2.811	100
36.93	2.434	65
63.36	1.468	46
53.21	1.721	46
87.29	1.117	20
66.53	1.405	16

For AlTe2Cl4, a DFT-relaxed cell (GGA-PBE, the Materials Project) gives the computed X-ray powder pattern in this record (Cu Kα).
Neutral-atom scattering factors, no anomalous dispersion.

Structural model:
```
AlTe2Cl4
1.0
11.6757 0.0000 0.0000
0.0000 14.2799 0.0000
0.0000 0.0000 12.2230
Al Te Cl
8 16 32
Cartesian
1.1955 2.0732 1.0838
1.1955 5.0667 7.1953
4.6423 9.2132 1.0838
4.6423 12.2067 7.1953
7.0334 2.0732 5.0277
7.0334 5.0667 11.1392
10.4802 9.2132 5.0277
10.4802 12.2067 11.1392
0.0469 0.9755 7.7665
0.0469 6.1645 1.6550
1.3195 1.1904 5.3740
1.3195 5.9496 11.4856
4.5183 8.3304 5.3740
4.5183 13.0895 11.4856
5.7910 8.1155 7.7665
5.7910 13.3044 1.6550
5.8847 0.9755 10.5680
5.8847 6.1645 4.4565
7.1574 1.1904 0.7375
7.1574 5.9496 6.8490
10.3562 8.3304 0.7375
10.3562 13.0895 6.8490
11.6288 8.1155 10.5680
11.6288 13.3044 4.4565
0.7955 9.6130 4.3556
0.7955 11.8069 10.4671
1.3568 1.6458 11.2201
1.3568 5.4941 5.1086
2.0588 0.4374 2.2546
2.0588 6.7026 8.3662
2.4161 3.3007 7.6178
2.4161 3.8393 1.5063
3.4217 10.4407 7.6178
3.4217 10.9792 1.5063
3.7791 7.5774 2.2546
3.7791 13.8425 8.3662
4.4811 8.7858 11.2201
4.4811 12.6341 5.1086
5.0424 2.4730 4.3556
5.0424 4.6670 10.4671
6.6333 9.6130 1.7559
6.6333 11.8069 7.8674
7.1946 1.6458 7.1144
7.1946 5.4941 1.0029
7.8966 0.4374 3.8569
7.8966 6.7026 9.9684
8.2540 3.3007 10.7167
8.2540 3.8393 4.6052
9.2596 10.4407 10.7167
9.2596 10.9792 4.6052
9.6169 7.5774 3.8569
9.6169 13.8425 9.9684
10.3189 8.7858 7.1144
10.3189 12.6341 1.0029
10.8802 2.4730 1.7559
10.8802 4.6670 7.8674
```

Peak list (6 most intense, 2θ from 15° to 90°, most intense first)
2θ/deg	d/Å	I (rel.)
33.13	2.704	100
16.40	5.404	68
24.12	3.689	64
30.24	2.956	57
45.76	1.983	56
15.18	5.838	49

For TbPrO4, a DFT-relaxed cell (GGA-PBE, the Materials Project) gives the computed X-ray powder pattern in this record (Cu Kα).
Neutral-atom scattering factors, no anomalous dispersion.

Structural model:
```
TbPrO4
1.0
7.9953 0.0000 0.0000
0.0000 5.5515 0.0000
-0.6264 0.0000 7.9378
Tb Pr O
4 4 16
Cartesian
0.9405 1.3748 0.8912
0.6273 1.4010 4.8601
6.7416 4.1505 3.0777
6.4284 4.1767 7.0465
2.7730 4.1535 2.9055
2.4598 4.1738 6.8743
4.9091 1.3777 1.0634
4.5959 1.3980 5.0323
0.2985 0.0653 6.8016
0.6117 2.7104 2.8327
0.6650 0.0032 2.8805
0.3518 2.7725 6.8494
2.8304 0.0303 0.9105
2.5172 2.7455 4.8794
2.5294 0.0573 4.8877
2.8426 2.7184 0.9188
4.5263 2.8331 7.0190
4.8395 5.4942 3.0501
4.8517 2.8060 3.0584
4.5385 5.5212 7.0272
7.0171 2.7790 1.0884
6.7039 5.5483 5.0573
6.7572 2.8411 5.1051
7.0704 5.4862 1.1362
```

Peak list (6 most intense, 2θ from 15° to 90°, most intense first)
2θ/deg	d/Å	I (rel.)
27.59	3.233	100
+++
The reader should search the calculation results earlier on for the word "GGA-PBE" and give back each line that has it.
For NpN, a DFT-relaxed cell (GGA-PBE, the Materials Project) gives the computed X-ray powder pattern in this record (Cu Kα).
For AlTe2Cl4, a DFT-relaxed cell (GGA-PBE, the Materials Project) gives the computed X-ray powder pattern in this record (Cu Kα).
For TbPrO4, a DFT-relaxed cell (GGA-PBE, the Materials Project) gives the computed X-ray powder pattern in this record (Cu Kα).